(Source)
~~~
Record 1
Density functional theory data (ωB97M-V/def2-TZVPD) for a molecular structure, C33H26BCl3F5N4O2PRuS3Si.

Properties
HOMO-LUMO gap (alpha / beta): 6.5 / 5.5 eV
relative energy (zero: lowest compared OMol25 entry of this formula, charge and spin): 0.440 eV
charge: -1
E_HOMO (alpha / beta): -4.305 / -5.384 eV
LUMO (alpha / beta): 0.0821 / 0.0027 hartree
2S+1: 6
DFT total energy: -148791.40776 eV

Atoms and positions in Å:
Ru1 0.197 0.218 -0.159
Cl1 2.523 2.732 -2.093
Cl2 1.628 0.344 -4.105
Cl3 3.648 -0.239 -1.698
S1 0.082 2.691 1.083
S2 -1.796 -1.361 -0.607
S3 -1.884 1.988 -0.987
P1 2.164 -0.257 1.543
Si1 1.796 0.729 -2.012
F1 -3.137 2.400 5.997
F2 -1.916 0.556 1.881
F3 -1.578 4.553 5.503
F4 -3.323 0.410 4.159
F5 -0.112 4.684 3.259
O1 1.286 -2.006 0.164
O2 2.320 -3.385 -1.285
N1 -1.664 1.379 -3.640
N2 -0.813 3.323 -3.104
N3 -0.795 -3.054 -2.470
N4 -1.564 -1.205 -3.353
C1 -1.067 -1.993 -4.364
C2 2.693 2.235 2.882
C3 -1.779 1.530 2.773
C4 0.210 -1.621 2.997
C5 4.515 -3.493 0.578
C6 -2.436 2.462 4.869
C7 -0.028 -1.599 5.391
C8 -0.384 4.471 -2.334
C9 3.396 3.421 3.030
C10 5.534 -2.436 2.475
C11 -0.661 3.173 -4.464
C12 -1.354 -1.853 -2.189
C13 4.535 -1.476 2.489
C14 1.080 -0.772 5.491
C15 5.540 -3.432 1.507
C16 3.164 1.218 2.050
C17 3.504 -1.524 1.553
C18 4.580 3.622 2.338
C19 -0.451 -2.036 4.143
C20 1.319 -0.780 3.087
C21 -0.589 -3.138 -3.825
C22 -1.629 3.557 4.613
C23 -0.565 -4.111 -1.509
C24 -1.420 2.212 -2.618
C25 1.761 -0.378 4.348
C26 -0.914 2.599 2.491
C27 -1.192 1.971 -4.784
C28 3.484 -2.566 0.627
C29 -2.517 1.445 3.935
C30 4.360 1.437 1.361
C31 2.286 -2.681 -0.281
C32 -0.889 3.619 3.451
C33 5.062 2.623 1.505
B1 -2.485 0.045 -3.596
H1 -3.283 0.104 -2.708
H2 -1.135 5.263 -2.379
H3 -0.562 -1.904 6.283
H4 1.420 -0.434 6.463
H5 5.979 2.774 0.949
H6 4.565 -0.684 3.227
H7 0.563 4.829 -2.726
H8 -2.980 -0.088 -4.687
H9 -0.138 -1.938 2.022
H10 5.114 4.559 2.434
H11 4.743 0.672 0.701
H12 2.634 0.253 4.442
H13 3.004 4.202 3.670
H14 -1.481 -4.691 -1.368
H15 -1.103 -1.676 -5.390
H16 6.314 -2.407 3.227
H17 0.244 -4.741 -1.863
H18 -1.269 1.482 -5.737
H19 -0.253 4.176 -1.297
H20 -0.272 -3.665 -0.566
H21 4.488 -4.258 -0.188
H22 -1.310 -2.689 4.063
H23 6.339 -4.162 1.488
H24 1.773 2.097 3.434
H25 -0.203 3.928 -5.077
H26 -0.139 -4.002 -4.281

Record 2
Density functional theory data (ωB97M-V/def2-TZVPD) for a molecular structure, C4H5CuNaO3 in a non-equilibrium geometry.

Properties
HOMO-LUMO gap (alpha / beta): 5.4 / 5.4 eV
relative energy (zero: lowest compared OMol25 entry of this formula, charge and spin): 1.288 eV
charge: 0
E_HOMO (alpha / beta): -6.634 / -6.638 eV
LUMO (alpha / beta): -0.0447 / -0.0443 hartree
2S+1: 2
DFT total energy: -59414.65964 eV

Atoms and positions in Å:
Cu1 -0.555 -1.556 -1.527
Na1 2.077 1.757 2.151
O1 -2.261 0.177 -1.065
O2 2.885 0.319 0.740
O3 -2.163 -1.213 -0.694
C1 -1.615 1.050 -0.207
C2 2.133 -0.417 0.015
C3 0.750 -0.496 0.234
C4 -0.197 1.160 -0.294
H1 0.456 -1.080 1.123
H2 2.444 -0.670 -1.022
H3 -2.527 1.616 0.055
H4 -1.121 2.321 -0.121
H5 0.468 1.804 -0.885

Record 3
Density functional theory data (ωB97M-V/def2-TZVPD) for 2 unconnected molecules or ions with the total composition C13H23F5N2O8PS in a non-equilibrium geometry.

Properties
HOMO-LUMO gap (alpha / beta): 9.2 / 9.7 eV
charge: 0
E_HOMO (alpha / beta): -9.267 / -10.318 eV
LUMO (alpha / beta): -0.0042 / -0.0219 hartree
2S+1: 2
DFT total energy: -66919.10330 eV

Atoms and positions in Å:
S1 -0.559 -2.306 -1.796
P1 -2.636 -1.090 0.849
F1 -0.278 -3.753 -3.978
F2 -0.509 -1.569 -4.452
F3 2.339 -1.657 -2.675
F4 2.051 -1.853 -4.900
F5 2.293 -3.691 -3.617
O1 -2.582 -0.178 2.272
O2 -1.897 -2.565 1.175
O3 0.943 0.457 4.945
O4 -0.250 0.937 6.691
O5 -4.133 -1.394 0.590
O6 2.034 2.879 -0.130
O7 0.214 -3.277 -0.935
O8 -1.979 -2.843 -1.842
N1 0.118 0.191 5.803
N2 1.540 1.748 -0.545
C1 -0.487 -1.166 5.753
C2 -2.009 -0.203 -0.688
C3 -0.063 0.544 -2.213
C4 1.411 2.519 -2.890
C5 -0.500 -0.541 -1.122
C6 0.554 1.903 -1.645
C7 1.091 0.857 0.555
~~~

(Brief)
Your job: give back only the last part of the block earlier on, starting with the line that has "-3.104".

(Done)
N2 -0.813 3.323 -3.104
N3 -0.795 -3.054 -2.470
N4 -1.564 -1.205 -3.353
C1 -1.067 -1.993 -4.364
C2 2.693 2.235 2.882
C3 -1.779 1.530 2.773
C4 0.210 -1.621 2.997
C5 4.515 -3.493 0.578
C6 -2.436 2.462 4.869
C7 -0.028 -1.599 5.391
C8 -0.384 4.471 -2.334
C9 3.396 3.421 3.030
C10 5.534 -2.436 2.475
C11 -0.661 3.173 -4.464
C12 -1.354 -1.853 -2.189
C13 4.535 -1.476 2.489
C14 1.080 -0.772 5.491
C15 5.540 -3.432 1.507
C16 3.164 1.218 2.050
C17 3.504 -1.524 1.553
C18 4.580 3.622 2.338
C19 -0.451 -2.036 4.143
C20 1.319 -0.780 3.087
C21 -0.589 -3.138 -3.825
C22 -1.629 3.557 4.613
C23 -0.565 -4.111 -1.509
C24 -1.420 2.212 -2.618
C25 1.761 -0.378 4.348
C26 -0.914 2.599 2.491
C27 -1.192 1.971 -4.784
C28 3.484 -2.566 0.627
C29 -2.517 1.445 3.935
C30 4.360 1.437 1.361
C31 2.286 -2.681 -0.281
C32 -0.889 3.619 3.451
C33 5.062 2.623 1.505
B1 -2.485 0.045 -3.596
H1 -3.283 0.104 -2.708
H2 -1.135 5.263 -2.379
H3 -0.562 -1.904 6.283
H4 1.420 -0.434 6.463
H5 5.979 2.774 0.949
H6 4.565 -0.684 3.227
H7 0.563 4.829 -2.726
H8 -2.980 -0.088 -4.687
H9 -0.138 -1.938 2.022
H10 5.114 4.559 2.434
H11 4.743 0.672 0.701
H12 2.634 0.253 4.442
H13 3.004 4.202 3.670
H14 -1.481 -4.691 -1.368
H15 -1.103 -1.676 -5.390
H16 6.314 -2.407 3.227
H17 0.244 -4.741 -1.863
H18 -1.269 1.482 -5.737
H19 -0.253 4.176 -1.297
H20 -0.272 -3.665 -0.566
H21 4.488 -4.258 -0.188
H22 -1.310 -2.689 4.063
H23 6.339 -4.162 1.488
H24 1.773 2.097 3.434
H25 -0.203 3.928 -5.077
H26 -0.139 -4.002 -4.281

Record 2
Density functional theory data (ωB97M-V/def2-TZVPD) for a molecular structure, C4H5CuNaO3 in a non-equilibrium geometry.

Properties
HOMO-LUMO gap (alpha / beta): 5.4 / 5.4 eV
relative energy (zero: lowest compared OMol25 entry of this formula, charge and spin): 1.288 eV
charge: 0
E_HOMO (alpha / beta): -6.634 / -6.638 eV
LUMO (alpha / beta): -0.0447 / -0.0443 hartree
2S+1: 2
DFT total energy: -59414.65964 eV

Atoms and positions in Å:
Cu1 -0.555 -1.556 -1.527
Na1 2.077 1.757 2.151
O1 -2.261 0.177 -1.065
O2 2.885 0.319 0.740
O3 -2.163 -1.213 -0.694
C1 -1.615 1.050 -0.207
C2 2.133 -0.417 0.015
C3 0.750 -0.496 0.234
C4 -0.197 1.160 -0.294
H1 0.456 -1.080 1.123
H2 2.444 -0.670 -1.022
H3 -2.527 1.616 0.055
H4 -1.121 2.321 -0.121
H5 0.468 1.804 -0.885

Record 3
Density functional theory data (ωB97M-V/def2-TZVPD) for 2 unconnected molecules or ions with the total composition C13H23F5N2O8PS in a non-equilibrium geometry.

Properties
HOMO-LUMO gap (alpha / beta): 9.2 / 9.7 eV
charge: 0
E_HOMO (alpha / beta): -9.267 / -10.318 eV
LUMO (alpha / beta): -0.0042 / -0.0219 hartree
2S+1: 2
DFT total energy: -66919.10330 eV

Atoms and positions in Å:
S1 -0.559 -2.306 -1.796
P1 -2.636 -1.090 0.849
F1 -0.278 -3.753 -3.978
F2 -0.509 -1.569 -4.452
F3 2.339 -1.657 -2.675
F4 2.051 -1.853 -4.900
F5 2.293 -3.691 -3.617
O1 -2.582 -0.178 2.272
O2 -1.897 -2.565 1.175
O3 0.943 0.457 4.945
O4 -0.250 0.937 6.691
O5 -4.133 -1.394 0.590
O6 2.034 2.879 -0.130
O7 0.214 -3.277 -0.935
O8 -1.979 -2.843 -1.842
N1 0.118 0.191 5.803
N2 1.540 1.748 -0.545
C1 -0.487 -1.166 5.753
C2 -2.009 -0.203 -0.688
C3 -0.063 0.544 -2.213
C4 1.411 2.519 -2.890
C5 -0.500 -0.541 -1.122
C6 0.554 1.903 -1.645
C7 1.091 0.857 0.555